_Assignment_
Transcribe everything underneath without additions.
_Input_
/*
The following is a PBE calculation of a relaxed NaPrAu4 crystal, from Alexandria via LeMat-Bulk.

Properties
- Energy above the lowest structure with this stoichiometry: 0.00 kcal/mol of atoms
- Energy relative to the elements: -0.507 eV per atom

a b c (Å): 4.7932 4.7932 6.7281
angles (deg): 90.00 90.00 120.00
Space group P6/mmm (No. 191)
Symmetry-distinct sites (fractional):
Na (0.0000, 0.0000, 0.0000)
Pr (0.0000, 0.0000, 0.5000)
Au (0.3333, 0.6667, 0.2368)

* * * * *

The following is a DFT calculation (GGA-PBE) of LiTlInNi2 after structural relaxation.

Properties
Formation enthalpy at 0 K ... 0.609 eV per atom
SG ... P4/mmm

a = 4.365 Å, b = 4.594 Å, c = 4.365 Å
α = 90.00°, β = 90.00°, γ = 90.00°
Sites, in units of the cell vectors:
Tl  0.500  0.500  0.500
In  0.000  0.500  0.000
Li  0.000  0.000  0.000
Ni  0.500  0.000  0.000
Ni  0.000  0.000  0.500


The following is a DFT calculation (GGA-PBE) of ZnCd2Hg8Pb after structural relaxation.

Properties
Formation enthalpy at 0 K ... 0.087 eV per atom
SG ... P-3m1

a = 6.579 Å, b = 6.579 Å, c = 8.553 Å
α = 90.00°, β = 90.00°, γ = 120.00°
Sites, in units of the cell vectors:
Cd  0.667  0.333  0.103
Cd  0.333  0.667  0.897
Hg  0.822  0.178  0.782
Hg  0.355  0.178  0.782
Hg  0.667  0.333  0.452
Hg  0.645  0.822  0.218
Hg  0.822  0.645  0.782
Hg  0.178  0.355  0.218
Hg  0.178  0.822  0.218
Hg  0.333  0.667  0.548
Pb  0.000  0.000  0.500
Zn  0.000  0.000  0.000


The following is a DFT calculation (GGA-PBE) of LaSi2IrRh2 after structural relaxation.

Properties
Raw formation energy ... -0.4132 eV/atom
SG ... P4/mmm

a = 4.526 Å, b = 4.526 Å, c = 5.654 Å
α = 90.00°, β = 90.00°, γ = 90.00°
Sites, in units of the cell vectors:
Si  0.000  0.500  0.000
Si  0.500  0.000  0.000
La  0.000  0.000  0.500
Ir  0.000  0.000  0.000
Rh  0.500  0.500  0.756
Rh  0.500  0.500  0.244


The following is a DFT calculation (GGA-PBE) of MnAlTlSe4 after structural relaxation.

Properties
Raw formation energy ... -0.4716 eV/atom
SG ... P2_1/m

a = 6.598 Å, b = 6.886 Å, c = 10.372 Å
α = 90.00°, β = 128.22°, γ = 90.00°
Each line ends with the local moment (μB).
Sites, in units of the cell vectors:
Al  0.208  0.750  0.354  0.01
Al  0.792  0.250  0.646  0.01
Se  0.619  0.750  0.612  -0.10
Se  0.907  0.992  0.324  -0.15
Se  0.907  0.508  0.324  -0.15
Se  0.093  0.008  0.676  -0.15
Se  0.381  0.250  0.388  -0.10
Se  0.093  0.492  0.676  -0.15
Se  0.326  0.750  0.179  -0.04
Se  0.674  0.250  0.821  -0.04
Mn  0.789  0.750  0.454  3.33
Mn  0.211  0.250  0.546  3.33
Tl  0.675  0.750  0.926  0.00
Tl  0.325  0.250  0.074  0.00


no.,energy (eV per atom)
1,-3.107
2,-0.682
3,-6.969
4,-4.645

* * * * *

No. 1
# Cr2IrPt | Alexandria | PBE-GGA | relaxed
# Total energy: -0.644 Ry/atom
# Space-group type: No. 25
# ΔE_f: -225 meV per atom
data_Cr2IrPt
_chemical_formula_sum 'Cr2 Ir1 Pt1'
_cell_length_a 2.675
_cell_length_b 4.246
_cell_length_c 4.694
_cell_angle_alpha 90.00
_cell_angle_beta 90.00
_cell_angle_gamma 90.00
_symmetry_space_group_name_H-M 'P 1'
_symmetry_Int_Tables_number 1
_symmetry_space_group_name_Hall 'P 1'
loop_
_atom_site_label
_atom_site_fract_x
_atom_site_fract_y
_atom_site_fract_z
Cr1 0.000 0.000 0.000
Cr2 0.000 0.500 0.318
Ir1 0.500 0.500 0.842
Pt1 0.500 0.000 0.483

No. 2
# MnNbCoHSe | Alexandria | PBE-GGA | relaxed
# Total energy: -0.491 Ry/atom
# Space-group type: No. 1
data_MnNbCoHSe
_chemical_formula_sum 'Mn1 Nb1 Co1 H1 Se1'
_cell_length_a 3.185
_cell_length_b 3.212
_cell_length_c 6.050
_cell_angle_alpha 105.38
_cell_angle_beta 90.01
_cell_angle_gamma 90.00
_symmetry_space_group_name_H-M 'P 1'
_symmetry_Int_Tables_number 1
_symmetry_space_group_name_Hall 'P 1'
loop_
_atom_site_label
_atom_site_fract_x
_atom_site_fract_y
_atom_site_fract_z
Mn1 0.000 0.000 0.000
Nb1 0.500 0.615 0.226
Co1 0.500 0.367 0.734
H1 0.998 0.137 0.271
Se1 0.000 0.803 0.604

No. 3
# K4Pa3TlO12 | Alexandria | PBE-GGA | relaxed
# Total energy: -0.531 Ry/atom
# Space-group type: No. 229
*/
_Done_
The following is a PBE calculation of a relaxed NaPrAu4 crystal, from Alexandria via LeMat-Bulk.

Properties
- Energy above the lowest structure with this stoichiometry: 0.00 kcal/mol of atoms
- Energy relative to the elements: -0.507 eV per atom

a b c (Å): 4.7932 4.7932 6.7281
angles (deg): 90.00 90.00 120.00
Space group P6/mmm (No. 191)
Symmetry-distinct sites (fractional):
Na (0.0000, 0.0000, 0.0000)
Pr (0.0000, 0.0000, 0.5000)
Au (0.3333, 0.6667, 0.2368)

* * * * *

The following is a DFT calculation (GGA-PBE) of LiTlInNi2 after structural relaxation.

Properties
Formation enthalpy at 0 K ... 0.609 eV per atom
SG ... P4/mmm

a = 4.365 Å, b = 4.594 Å, c = 4.365 Å
α = 90.00°, β = 90.00°, γ = 90.00°
Sites, in units of the cell vectors:
Tl  0.500  0.500  0.500
In  0.000  0.500  0.000
Li  0.000  0.000  0.000
Ni  0.500  0.000  0.000
Ni  0.000  0.000  0.500


The following is a DFT calculation (GGA-PBE) of ZnCd2Hg8Pb after structural relaxation.

Properties
Formation enthalpy at 0 K ... 0.087 eV per atom
SG ... P-3m1

a = 6.579 Å, b = 6.579 Å, c = 8.553 Å
α = 90.00°, β = 90.00°, γ = 120.00°
Sites, in units of the cell vectors:
Cd  0.667  0.333  0.103
Cd  0.333  0.667  0.897
Hg  0.822  0.178  0.782
Hg  0.355  0.178  0.782
Hg  0.667  0.333  0.452
Hg  0.645  0.822  0.218
Hg  0.822  0.645  0.782
Hg  0.178  0.355  0.218
Hg  0.178  0.822  0.218
Hg  0.333  0.667  0.548
Pb  0.000  0.000  0.500
Zn  0.000  0.000  0.000


The following is a DFT calculation (GGA-PBE) of LaSi2IrRh2 after structural relaxation.

Properties
Raw formation energy ... -0.4132 eV/atom
SG ... P4/mmm

a = 4.526 Å, b = 4.526 Å, c = 5.654 Å
α = 90.00°, β = 90.00°, γ = 90.00°
Sites, in units of the cell vectors:
Si  0.000  0.500  0.000
Si  0.500  0.000  0.000
La  0.000  0.000  0.500
Ir  0.000  0.000  0.000
Rh  0.500  0.500  0.756
Rh  0.500  0.500  0.244


The following is a DFT calculation (GGA-PBE) of MnAlTlSe4 after structural relaxation.

Properties
Raw formation energy ... -0.4716 eV/atom
SG ... P2_1/m

a = 6.598 Å, b = 6.886 Å, c = 10.372 Å
α = 90.00°, β = 128.22°, γ = 90.00°
Each line ends with the local moment (μB).
Sites, in units of the cell vectors:
Al  0.208  0.750  0.354  0.01
Al  0.792  0.250  0.646  0.01
Se  0.619  0.750  0.612  -0.10
Se  0.907  0.992  0.324  -0.15
Se  0.907  0.508  0.324  -0.15
Se  0.093  0.008  0.676  -0.15
Se  0.381  0.250  0.388  -0.10
Se  0.093  0.492  0.676  -0.15
Se  0.326  0.750  0.179  -0.04
Se  0.674  0.250  0.821  -0.04
Mn  0.789  0.750  0.454  3.33
Mn  0.211  0.250  0.546  3.33
Tl  0.675  0.750  0.926  0.00
Tl  0.325  0.250  0.074  0.00


no.,energy (eV per atom)
1,-3.107
2,-0.682
3,-6.969
4,-4.645

* * * * *

No. 1
# Cr2IrPt | Alexandria | PBE-GGA | relaxed
# Total energy: -0.644 Ry/atom
# Space-group type: No. 25
# ΔE_f: -225 meV per atom
data_Cr2IrPt
_chemical_formula_sum 'Cr2 Ir1 Pt1'
_cell_length_a 2.675
_cell_length_b 4.246
_cell_length_c 4.694
_cell_angle_alpha 90.00
_cell_angle_beta 90.00
_cell_angle_gamma 90.00
_symmetry_space_group_name_H-M 'P 1'
_symmetry_Int_Tables_number 1
_symmetry_space_group_name_Hall 'P 1'
loop_
_atom_site_label
_atom_site_fract_x
_atom_site_fract_y
_atom_site_fract_z
Cr1 0.000 0.000 0.000
Cr2 0.000 0.500 0.318
Ir1 0.500 0.500 0.842
Pt1 0.500 0.000 0.483

No. 2
# MnNbCoHSe | Alexandria | PBE-GGA | relaxed
# Total energy: -0.491 Ry/atom
# Space-group type: No. 1
data_MnNbCoHSe
_chemical_formula_sum 'Mn1 Nb1 Co1 H1 Se1'
_cell_length_a 3.185
_cell_length_b 3.212
_cell_length_c 6.050
_cell_angle_alpha 105.38
_cell_angle_beta 90.01
_cell_angle_gamma 90.00
_symmetry_space_group_name_H-M 'P 1'
_symmetry_Int_Tables_number 1
_symmetry_space_group_name_Hall 'P 1'
loop_
_atom_site_label
_atom_site_fract_x
_atom_site_fract_y
_atom_site_fract_z
Mn1 0.000 0.000 0.000
Nb1 0.500 0.615 0.226
Co1 0.500 0.367 0.734
H1 0.998 0.137 0.271
Se1 0.000 0.803 0.604

No. 3
# K4Pa3TlO12 | Alexandria | PBE-GGA | relaxed
# Total energy: -0.531 Ry/atom
# Space-group type: No. 229